Sir Conan Doyle's Gift

From The Arthur Conan Doyle Encyclopedia

Sir Conan Doyle's Gift is an article published in The Daily Mail (Hull) on 9 february 1920.

The article is a detailed report of the naval battle between a British convoy of trawlers led by the Conan Doyle H240 (Skipper: William Addy) versus a German submarine. Arthur Conan Doyle sent a silver cigarette case to William Addy with a congratulation carved on it : "To Skipper William Addy, D. S. C., from Arthur Conan Doyle. In memory of June 20th, 1918." [1].

Sir Conan Doyle's Gift

## Materials data from another source follow
+++
For MgMn6O8F4, a GGA+U-relaxed structure gives the simulated X-ray powder pattern in this record (copper Kα).
Lines closer than 0.1° are merged.

Crystal structure
Unit cell a=5.3105 b=5.7350 c=7.6647 alpha=82.40 beta=83.15 gamma=80.22
Element x y z (fractional)
Mg 0.0000 0.0000 0.0000
Mn 0.0033 0.9989 0.4998
Mn 0.0197 0.3648 0.1931
Mn 0.4958 0.1469 0.8180
Mn 0.5035 0.4990 0.4998
Mn 0.5040 0.8447 0.1782
Mn 0.9874 0.6329 0.8065
O 0.1281 0.9170 0.7386
O 0.2979 0.4368 0.7251
O 0.3019 0.7934 0.3994
O 0.3037 0.1325 0.0552
O 0.7010 0.8627 0.9426
O 0.7041 0.2039 0.6003
O 0.7086 0.5611 0.2742
O 0.8795 0.0821 0.2617
F 0.1645 0.6508 0.0708
F 0.2267 0.2964 0.4045
F 0.7811 0.7015 0.5943
F 0.8423 0.3485 0.9297

Largest 6 diffraction maxima, in order of rising 2θ, 2θ from 5° to 70°:
- 22.66°, rel. 100.0
- 27.70°, rel. 64.1
- 34.59°, rel. 24.8
- 34.75°, rel. 25.0
- 46.28°, rel. 19.3
- 53.03°, rel. 17.4

***

For Li2VF6, a GGA+U-relaxed structure gives the simulated X-ray powder pattern in this record (copper Kα).
Lines closer than 0.1° are merged.

Crystal structure
Unit cell a=5.5568 b=5.5568 c=8.6152 alpha=90.00 beta=90.00 gamma=121.50
Element x y z (fractional)
Li 0.0679 0.9321 0.5000
Li 0.2303 0.7697 0.9919
Li 0.7697 0.2303 0.4919
Li 0.9321 0.0679 0.0000
V 0.3842 0.6158 0.2823
V 0.6158 0.3842 0.7823
F 0.1091 0.4218 0.1216
F 0.1497 0.3349 0.4329
F 0.1960 0.8040 0.3285
F 0.3349 0.1497 0.9329
F 0.4218 0.1091 0.6216
F 0.4358 0.5642 0.7441
F 0.5642 0.4358 0.2441
F 0.5782 0.8909 0.1216
F 0.6651 0.8503 0.4329
F 0.8040 0.1960 0.8285
F 0.8503 0.6651 0.9329
F 0.8909 0.5782 0.6216

Largest 6 diffraction maxima, in order of rising 2θ, 2θ from 5° to 70°:
- 18.73°, rel. 62.4
- 21.03°, rel. 100.0
- 21.40°, rel. 89.1
- 27.99°, rel. 70.2
- 39.22°, rel. 46.3
- 49.91°, rel. 49.4

***

For Li4Mn5Cr3O16, a GGA+U-relaxed structure gives the simulated X-ray powder pattern in this record (copper Kα).
Lines closer than 0.1° are merged.

Crystal structure
Unit cell a=5.8781 b=5.8781 c=9.5020 alpha=90.95 beta=90.95 gamma=59.71
Element x y z (fractional)
Li 0.0000 0.0000 0.0000
Li 0.0002 0.0002 0.4978
Li 0.3290 0.3290 0.9020
Li 0.6643 0.6643 0.3978
Mn 0.1702 0.1702 0.2173
Mn 0.3347 0.8280 0.7185
Mn 0.3358 0.3358 0.4891
Mn 0.6679 0.6679 0.9932
Mn 0.8280 0.3347 0.7185
Cr 0.1724 0.6606 0.2160
Cr 0.6606 0.1724 0.2160
Cr 0.8283 0.8283 0.7179
O 0.0027 0.0027 0.8133
O 0.0073 0.0073 0.3119
O 0.0410 0.4769 0.3432
O 0.1604 0.1604 0.6118
O 0.1643 0.6744 0.6033
O 0.3260 0.3260 0.1092
O 0.3293 0.8402 0.1011
O 0.4769 0.0410 0.3432
O 0.4850 0.4850 0.3383
O 0.5139 0.9560 0.8444
O 0.5172 0.5172 0.8426
O 0.6584 0.6584 0.6129
O 0.6744 0.1643 0.6033
O 0.8371 0.8371 0.0975
O 0.8402 0.3293 0.1011
O 0.9560 0.5139 0.8444

Largest 6 diffraction maxima, in order of rising 2θ, 2θ from 5° to 70°:
- 18.68°, rel. 100.0
- 19.75°, rel. 58.2
- 19.92°, rel. 77.9
- 36.72°, rel. 42.2
- 46.08°, rel. 47.9
- 63.29°, rel. 44.4

***
+++

The Daily Mail (Hull) (9 february 1920, p. 3)



Sir Arthur Conan Doyle has just sent a handsome silver cigarette case, suitably inscribed, Mr William Addy, D.S.C., skipper tho Hull trawler Conan Doyle, which is named after the eminent author. The presentation gift is the sequel to a stirring episode in the war, in which Skipper Addy, with the Conan Doyle, at the head convoy of Hull trawlers, sank German submarine after an action extending about four hours.

### Inserted here: records of crystals
┌──
Diffraction record for Cs2SeS. The PXRD pattern is theoretical, not measured: it uses a cell relaxed with PBE and Cu Kα X-rays.
Peak positions follow from Bragg's law for the DFT cell and can differ from measured ones.

The 8 most intense peaks (2θ from 10° to 90°), sorted by position:
2θ/deg  d_spacing  I (rel.)  (hkl)
19.3  4.588  69.3  0 1 2
20.7  4.282  78.8  2 0 0
26.6  3.356  78.1  2 1 -2
27.5  3.245  80.8  0 0 4
28.3  3.150  46.2  1 1 3
29.8  2.997  62.5  1 2 -1
30.3  2.945  100.0  2 1 2
31.4  2.852  55.3  2 0 -4

Atomic structure:
```
data_Cs2SeS
_cell_length_a 8.7130
_cell_length_b 6.4862
_cell_length_c 13.2077
_cell_angle_alpha 90.00
_cell_angle_beta 100.61
_cell_angle_gamma 90.00
_space_group_name_H-M_alt 'P 1 21/c 1'
_space_group_IT_number 14
_space_group_name_Hall '-P 2ybc'
loop_
_atom_site_label
_atom_site_fract_x
_atom_site_fract_y
_atom_site_fract_z
_atom_site_occupancy
Cs1 0.0043 0.2079 0.1152 1
Cs2 0.4862 0.6256 0.8503 1
Se1 0.3399 0.6236 0.5759 1
S1 0.1708 0.7040 0.1584 1
```

Diffraction record for RbNaCoI4. The PXRD pattern is theoretical, not measured: it uses a cell relaxed with PBE and Cu Kα X-rays.
Peak positions follow from Bragg's law for the DFT cell and can differ from measured ones.

The 8 most intense peaks (2θ from 10° to 90°), sorted by position:
2θ/deg  d_spacing  I (rel.)  (hkl)
24.9  3.572  100.0  1 2 0
25.6  3.473  45.2  1 0 2
26.2  3.406  39.4  2 0 -2
27.9  3.200  36.7  1 1 2
28.4  3.147  31.0  2 1 -2
28.9  3.094  38.1  0 2 2
29.0  3.078  34.3  1 2 -2
44.0  2.057  25.3  0 4 0

Atomic structure:
```
data_RbNaCoI4
_cell_length_a 7.5642
_cell_length_b 8.2281
_cell_length_c 9.8642
_cell_angle_alpha 90.00
_cell_angle_beta 107.90
_cell_angle_gamma 90.00
_space_group_name_H-M_alt 'P 1 21/m 1'
_space_group_IT_number 11
_space_group_name_Hall '-P 2yb'
loop_
_atom_site_label
_atom_site_fract_x
_atom_site_fract_y
_atom_site_fract_z
_atom_site_occupancy
Rb1 0.2407 0.2500 0.0615 1
Na1 0.2320 0.2500 0.5614 1
Co1 0.2144 0.7500 0.3178 1
I1 0.0069 0.0024 0.7240 1
I2 0.4015 0.7500 0.1379 1
I3 0.4371 0.7500 0.5728 1
```

* * * * *

The following is a computed powder diffractogram of LaDy2Er5. It was derived from DFT lattice parameters and positions (PBE), using λ = 1.5418 Å (Cu Kα).
Lines closer than 0.1° are merged.

Cell and atoms:
```
data_LaDy2Er5
_cell_length_a 9.996
_cell_length_b 14.186
_cell_length_c 7.102
_cell_angle_alpha 90.00
_cell_angle_beta 90.00
_cell_angle_gamma 90.00
_symmetry_space_group_name_H-M 'P b a m'
_symmetry_Int_Tables_number 55
_symmetry_space_group_name_Hall '-P 2 2ab'
loop_
_atom_site_label
_atom_site_fract_x
_atom_site_fract_y
_atom_site_fract_z
La1 0.249 0.125 0.000
Dy1 0.000 0.500 0.253
Dy2 0.249 0.125 0.500
Er1 0.000 0.000 0.253
Er2 0.000 0.250 0.253
Er3 0.249 0.875 0.500
Er4 0.250 0.375 0.000
```

Principal peaks in the range 10° ≤ 2θ ≤ 80°, low angle first:
2θ/deg	intensity	h k l
30.90	100.0	2 4 0
35.78	33.9	0 4 2
35.94	16.7	4 0 0
51.50	12.1	0 8 0
51.62	24.0	4 4 2
61.28	28.6	2 8 2
└──
### Here the article continues

Sir Arthur writes the Hull skipper as follows:—

"Dear Addy, — I have only heard recently of the splendid action in which my namesake under your command did such glorious work. should like to congratulate you and the crew, and say how proud I am to any way associated with you. — Yours sincerely, Arthur Conan Doyle."

Skipper Addy, who is one of the young school of trawler skippers, received the D.S.C. at the hands of Admiral Charlton in recognition of his gallant conduct, His home is on the Boulevard, and the vessel belongs to the Newington Steam Co. Incidentally Mr Addy also of the most successful skippers financially.

£10,790 FOR A CATCH.

He holds the world's record for trawler catch, namely £10,790 made by the Conan Doyle in sixteen days' fishing. Previous big figures for single trips by Skipper Addy wore £9,710, £8,400, and £8,532.

Addy went to sea this morning on the trawler Max Pemberton, and the "Mail" had the privilege of accepting a cigarette from the massive presentation case. The skipper was not inclined to speak freely of the stirring fight with the German submarine, but the graphic details are recorded by Lieut. J. F. MacCabe, who states: At 5.30 a.m. the convoy of fishing trawlers was proceeding at 8 knots, when an enemy submarine opened fire on the Conan Doyle, from 7,000 yards. Conan Doyle returned the fire once, and the engagement became general. The convoy took line ahead formation, and the Conan Doyle led the line throughout, the order battle being Conan Doyle, Emperor, Commander Holbrook, Antonio, Bridlington and Aisne, all trawlers. The enemy steered a course parallel to the convoy, firing from three guns at the Conan Doyle. At 5.45 Conan Doyle made a direct hit forward and the enemy ceased fire for about ten minutes and increased speed to close convoy's bow, but the Conan Doyle had altered her course, keeping the submarine more or less abeam.


The enemy kept continual rapid shell fire from all three guns at the Conan Doyle. At 7 o'clock a thick rain storm came on, and hid the enemy for 25 minutes, but when weather cleared the submarine was sighted 7.000 yards off and once opened fire with shrapnel on the Conan Doyle, and tired at the convoy generally. Conan Doyle and other vessels of the convoy used smoke boxes with useful effect. The submarine fired both shell and shrapnel and about 8 a.m. the Aisne was hit several times. As the action progressed, alteration of course brought the enemy more and more under Conan Doyle starboard quarter and he used his superior speed yith a view to closing with the convoy.

At 8.45 Conan Doyle had only 15 rounds left and preparations were made to hoist the signal "Prepare to ram." Just previous to this the Aisne got in a direct hit on the after part of the enemy. Conan Doyle also made a hit below the enemy's forward gun, which disappeared after a burst of flame and smoke. The enemy then ported and fired with his after gun until at 9 a.m. Conan Doyle made another direct hit forward, and below the conning tower.


The submarine was at once hidden in dense cloud of steam and smoke, which lasted about 45 seconds, and when the vapour disappeared there was no sign of the submarine, and the convoy resumed its journey through increasing wind and sea. The submarine was at least feet long, fact, so large was her conning tower, that there was uncertainty at first whether it was submarine. She carried one gun forward and one aft, and also a third, and apparently smaller gun, which gave a peculiar report.

The enemy's shooting was on the whole good Conan Doyle was straddled in the first few rounds, and all the shells fell very close indeed. Altogether the enemy fired about 400 rounds, 100 of which were shrapnel. The lead of the Conan Doyle was followed with skill and promptitude, and the guns were fought in a cool manner.


It was to be regretted that one man was killed and four wounded on the Aisne, which, with most of her deck hands casualties, were handled in able manner Mr William Parish, the skipper. To Skipper Addy, of the Conan Doyle, was the principal credit for the saving of the convoy from enemy with superior speed and armament.

  1. See The Boston Post report: Author Honors Skipper of Ship Named Conan Doyle (14 april 1920).